Cover Letter

300 Jay St, Brooklyn, NY 11201





Hi, Recipients name:

I’m writing to you in regards to your gallery, and propose an art instillation based on my work centered around the theme of altered books, inspired by Tom Phillips work, ‘A Humument’. I am an art student, currently studying communication design at city tech. My personal work, and pieces created within my altered book, both relate to my interest in illustration and love for texture within a 2D space.

My inspiration includes pieces, such as significant words, I’ve discovered while reading through text, then followed by an illustration depicting said word, for example ‘Weal , Shunned, Afflatus, and Osmosis‘ which will all be linked.  For each piece I work on, my technique varies, for some I use slow careful line work, trying to capture the weight of each mark, while others are more quick and tightly drawn. My goal is to use this method of a glossument (finding a word, and providing its definition via blog post, then to later visually show the word) as a means to branch out as an artist.

Sincerely yours,


Project#6 Color Harmony:Phase 2







Time: 35 mins

The art work I used as a reference when creating my proportional color inventory was an artwork called ” Black Reaper” created by an artist named Elijah Myers. The artwork was based on an anime character from the anime Tokyo Ghoul. This image had a theme similar to mine and it contained colors used to convey a really dark theme. Color reference can be used in your future design work for when you are trying to convey a certain tone or theme. You could look at other references that convey a similar theme/tone to our work and see the types of color used t achieve this. You than apply the same colors to your as well so that you can achieve the tone or theme as well.










Project#5:Color interaction pairings: Phase 4


Project#5 taught me a lot about hue and value changes and how you can use them to create an illusion making it as though color can be seen as two different colors. I also learned how color can represent different sets of emotions and personality. Trying to figure out the color that could represent my partner for this project was challenging, but also quite fun, I was able to learn a lot about my fellow student.  I found this project to be very interesting and useful for when I create any future work of my own. It allowed me to learn a new way to communicate using color.




Project#5:Color interaction pairings: Phase 3

Time:3 hours

Step 1: Color Research Process

Sam’s favorite color:

Red, Yellow, and Blue

Fav food: Mac and Cheese

Likes space and collecting rocks

Likes to Draw

Likes alternative music

Most active during the night likes the night time.

He is very funny and is comfortable to be around.


Step 2: Color Mockup

Orange Yellow is the color I chose to represent Sam.

This color represents the warmness that surrounds Sam

Step 3: Icon research

Sam’s interest for space and the night sky gave me the idea of making his icon be a little happy alien.

Step 4: Icon Mockup

I chose an alien to represent Sam to show his love of space and the night time. I chose the colors orange-yellow to represent the warmth Sam’s presence and personality brings when you get to know his. At first, Her energy starts off as a yellow and then gradually becomes a strong hot orange. This is because at first, it might be a little awkward but, he still is inviting and over time you begin to become more comfortable.

Color Harmony: Phase 2

Proportional Color Inventory

What I learn about this Project how different color combinations work together to create a sercent  tone in a picture. The Dominate Color is a Sapphire Blue. The Sub-Dominate Color is Purple and Orange. The Accent Color is Black.

This took about an hour


Project 3:phase 1


Hours spent- 1 hour

The first image represents broad a broad range image. This is because there a similar amount or equal amount of light and darkness in the image, there’s a neutral clash between light and dark. The second image represents a high-key/light value range. This is because there is mostly light in this image and less darkness or shadows in the image. The last image represents low-key/light value range. This is because there is little to no light in the image, instead there is  mostly darkness and shadows.

Color Harmony: Phase 2

This image is an image taken by Victor Gladkov. My theme for my glossument is opposites and fabrication. So for that I chose the colors like brown, white, and different shades of blue. I feel like the color blue has many opposites and I also feel like brown Is an opposite of blue because light brown is a shade of orange. I also learned that colors can harmonize to create compatibility.

I spent about an hour an a half on this phase of the project.

Color Harmony: Phase 2

This image shows different kinds of analogous colors because the blues have different shades and so do the oranges. The colors also dragged me in because these are kind if opposite colors.

Color Interaction Parings: Phase 4

The things i learned for this project is about color mostly in which i enjoy. Knowing about the hue and what color complements each others. I learned about how to make the illusion of one color that’s the focus look different because of the background color that cause an effect of the focus color to look either more warmer or cooler. In which they pair next to each other where some saw the illusion while others struggle. The thing i could have done better with this project is that making the phase 3 symbol different and its color to. I would apply this to my daily life in case i visit a museum and some of the art piece has the same effect. I would know the knowledge of why is that and the reason behind it.

Phase 1

____________
[1]
Material: TlHgF3
Method: DFT, GGA-PBE
State: relaxed

Structure (POSCAR):
```
TlHgF3
1.0
4.612 0.000 0.000
0.012 4.618 0.000
0.043 0.121 4.632
Tl Hg F
1 1 3
direct
0.000 0.000 0.000
0.476 0.532 0.452
0.451 0.044 0.380
0.465 0.600 0.938
0.973 0.567 0.401
```

Output
As for the calculated formation energy: -1827 meV/atom. The value obtained for the corrected total energy (MP2020 scheme) is -17.55 eV/f.u.


[2]
Material: GaFe3
Method: DFT, GGA-PBE
State: relaxed

Structure (POSCAR):
```
GaFe3
1.0
0.000 2.892 2.892
2.892 0.000 2.892
2.892 2.892 0.000
Ga Fe
1 3
direct
0.000 0.000 0.000
0.250 0.250 0.250
0.500 0.500 0.500
0.750 0.750 0.750
```

Output
As for the calculated formation energy: -99 meV/atom.


[3]
Material: Na3Ca2Ta4P9O36
Method: DFT, GGA-PBE
State: relaxed

Structure (POSCAR):
```
Na3Ca2Ta4P9O36
1.0
8.897 0.000 0.000
-4.448 7.705 0.000
0.000 0.000 23.104
Na Ca Ta P O
6 4 8 18 72
direct
0.000 0.000 0.000
0.000 0.000 0.500
0.333 0.667 0.154
0.333 0.667 0.654
0.667 0.333 0.328
0.667 0.333 0.828
0.333 0.667 0.014
0.333 0.667 0.514
0.667 0.333 0.190
0.667 0.333 0.690
0.000 0.000 0.142
0.000 0.000 0.352
0.000 0.000 0.642
0.000 0.000 0.852
0.333 0.667 0.312
0.333 0.667 0.812
0.667 0.333 0.482
0.667 0.333 0.982
0.009 0.289 0.250
0.009 0.720 0.750
0.036 0.372 0.914
0.036 0.663 0.414
0.280 0.289 0.750
0.280 0.991 0.250
0.337 0.372 0.414
0.337 0.964 0.914
0.373 0.043 0.584
0.373 0.330 0.084
0.628 0.663 0.914
0.628 0.964 0.414
0.670 0.043 0.084
0.670 0.627 0.584
0.711 0.720 0.250
0.711 0.991 0.750
0.957 0.330 0.584
0.957 0.627 0.084
0.000 0.178 0.303
0.000 0.822 0.803
0.004 0.185 0.899
0.004 0.818 0.399
0.033 0.200 0.195
0.033 0.833 0.695
0.133 0.495 0.860
0.133 0.638 0.360
0.139 0.475 0.575
0.139 0.663 0.075
0.141 0.429 0.968
0.141 0.712 0.468
0.167 0.200 0.695
0.167 0.967 0.195
0.178 0.000 0.303
0.178 0.178 0.803
0.181 0.471 0.258
0.181 0.710 0.758
0.182 0.185 0.399
0.182 0.996 0.899
0.191 0.040 0.589
0.191 0.151 0.089
0.288 0.429 0.468
0.288 0.859 0.968
0.290 0.471 0.758
0.290 0.819 0.258
0.337 0.475 0.075
0.337 0.861 0.575
0.362 0.495 0.360
0.362 0.867 0.860
0.457 0.148 0.252
0.457 0.309 0.752
0.468 0.165 0.527
0.468 0.304 0.027
0.475 0.125 0.637
0.475 0.350 0.137
0.503 0.147 0.920
0.503 0.356 0.420
0.505 0.638 0.860
0.505 0.867 0.360
0.525 0.663 0.575
0.525 0.861 0.075
0.529 0.710 0.258
0.529 0.819 0.758
0.571 0.712 0.968
0.571 0.859 0.468
0.644 0.147 0.420
0.644 0.497 0.920
0.650 0.125 0.137
0.650 0.525 0.637
0.691 0.148 0.752
0.691 0.543 0.252
0.696 0.165 0.027
0.696 0.532 0.527
0.800 0.833 0.195
0.800 0.967 0.695
0.815 0.818 0.899
0.815 0.996 0.399
0.822 0.000 0.803
0.822 0.822 0.303
0.835 0.304 0.527
0.835 0.532 0.027
0.849 0.040 0.089
0.849 0.809 0.589
0.852 0.309 0.252
0.852 0.543 0.752
0.853 0.356 0.920
0.853 0.497 0.420
0.875 0.350 0.637
0.875 0.525 0.137
0.960 0.151 0.589
0.960 0.809 0.089
```

Output
____________
The page goes on >

Phase 2

Phase 3

Color Interaction Parings: Phase 2

Since there is an illusion part of this, i had a hard time seeing this because of the background color that really effects what the square in the center looks like in which  the illusion is one supposed to look warmer while the other looks cooler. I spent at least 35 minutes on this.